Misty Unofficial History

Misty Unofficial History

Adapted from the Forward to the MISTY Book

by Major General Don Shepperd, USAF (ret, Misty 34)

“Misty” was the radio callsign used by the F-100F Fast Forward Air Controllers (Fast FACs) during the Vietnam War. There were 157 pilots officially assigned to fly missions over North Vietnam from 15 June 1967 – 19 May 1970. 21 other attached pilots flew occasional missions. There were also Intelligence Officers, Flight Surgeons, and Maintenance Officers assigned. It was a small, tight-knit group of special people given a difficult task in a terrible war. Of the 157 Mistys, 34 were shot down (22%). Eight others were shot down when not flying with Misty (total 28%). Two Mistys were shot down twice. There were seven KIA, four POWs, and [as of Jan ’10] 42 are now deceased. There was also one Medal of Honor winner, two Air Force Chiefs of Staff, six general officers, a winner of the Collier Trophy, the Louis Bleriot Medal, the Presidential Citizen’s Medal of Honor, and the first man to fly non-stop, un-refueled around the world. By any measure this was an unusual group of men.

Historians have a hard time defining the exact dates of the war in Vietnam. When the Vietnamese defeated the French at the battle of Dien Bien Phu in 1954, Americans began to fill the western power vacuum in an effort to keep Southeast Asia from falling to the Communists. When President Kennedy was elected, he sent advisors; then, sent more advisors, and the U.S. became officially “involved”. 1964 saw the infamous Gulf of Tonkin incident, when, according to President Lyndon Johnson, North Vietnamese torpedo boats attacked an American ship. Congress passed the “Gulf of Tonkin Resolution,” and the President committed U.S. troops.

We were at war.

The war started slowly during the “advisory years,” and small-scale actions took place against insurgent Vietcong guerrillas. By the summer of 1965 over 200,000 U.S. troops had been deployed and late in 1965 the first large-scale conflict between U.S. and North Vietnamese troops took place in the Ia Drang Valley, near Pleiku in the central highlands. Also, early in 1965 the President approved the bombing of North Vietnam. The air campaign against North Vietnam became known as “Rolling Thunder”. After Surface to Air Missiles (SAMs) were fired at U.S. aircraft in 1965 west of Hanoi, airstrikes on the north intensified.

Between 1965 and 1967, the build-up of U.S. forces continued, and the North Vietnamese attempted to move massive amounts of men and material to the South. Airstrikes were employed against the infiltration routes running south from Hanoi and Haiphong. These routes ran along the coastal plain in the southern part of North Vietnam and through mountain passes into Laos. The air campaign against the infiltration routes in Laos was known as “Steel Tiger”. B-52s flying from Guam and fighters flying from bases in Thailand were employed against roads, bridges, and suspected marshalling areas in the southern panhandle of North Vietnam and in southern Laos and the Demilitarized Zone (DMZ) dividing North and South Vietnam.

To prosecute the air war against North Vietnam, planners divided the country into six “Route Packages”. Route Packs 5 and 6 encompassed Hanoi and Haiphong, while Route Pack 1 was the southern panhandle of North Vietnam from just south of Vinh to the DMZ. Route Packs 2, 3, and 4 encompassed the remainder of the country. The Air Force was assigned primary responsibility for Packs 1 and 5, while the U.S. Navy was assigned Packs 2, 3, 4 and 6. Route Pack 6 was later divided into Packs 6A and 6B with the Air Force being given 6A and the Navy 6B.

Early in the war propeller-driven FACs in O-1s and O-2s (Slow FACs) were used to control airtsrikes in Route Pack 1, the DMZ and southern Laos. As infiltration rates increased, so did the air defenses, and loses of the Slow FACs increased dramatically – enter the Fast FACs and Misty. A decision was made to employ two-seat F-100F Fast FACs in Route Pack 1 and southern Laos.

Misty began with 16 pilots and four aircraft as Detachment 1, 416th Tactical Fighter Squadron, Phu Cat Air Base, Vietnam on 15 June 1967. Its official name was, “The Commado Sabre Operation.” Major George “Bud” Day was the first commander, and the first Ops Officer was Major Bill Douglass. Bud was shot down on 26 August 1967, was captured and remained a POW until February 1973. P.J. White assumed command when Bud was lost. Phu Cat was little more than a runway carved quickly out of the red clay of Binh Dinh province by Army Engineers and contractors. The first Misty pilots designed the basic tactics and techniques used by follow-on Misty generations. Two pilots flew on each mission. The front seat pilot flew the aircraft while the backseater handled the radios and carried maps and a hand-held 35mm camera with telephoto lens.

The Misty mission was to interdict men and materials headed to South Vietnam and to prevent SAM deployment in the area of responsibility. A typical Misty mission briefed 2 1/2 hours prior to takeoff. Pilots studied targets and photos supplied by Intel and previous Misty flights, went over the daily “Frag-order” and received intelligence briefings on matters of significance such as aircraft and crews lost the previous day, latest known AAA locations, weather, etc. Pilots “stepped” to the aircraft 45 minutes before takeoff. Aircraft configuration was 2 X 335 gallon fuel tanks; two pods of 2.75″ white phosphorous (Willie Pete) smoke rockets (14 total) and 220 rounds of 20mm ammunition loaded in two 20mm cannons.

The flight to North Vietnam from Phu Cat took approximately 30 minutes. Before entering the North, Mistys contacted Airborne Battlefield Command and Control Centers (ABCCCs) such as Hillsboro, Cricket, Moonbeam, etc. They received any updated intelligence, or instructions from HHQ, and proceeded to reconnoiter pre-planned areas and look for moving vehicles and targets of opportunity. If fighters were available, targets were marked and attacked on the first cycle. Then, Misty departed for the first airborne refueling from KC-135 tankers located on refueling tracks (called “Anchors”) over Laos, Thailand, or the Gulf of Tonkin.

After refueling, Mistys proceeded back to Pack 1 or Laos, and located and marked targets, controlled fighters against targets sighted during the first cycle, and continued reconnaissance. The Mistys also worked any rescues for downed aircraft, usually capping as on-scene commander until A-1 “Sandys” and HH-53 “Jolly Green” helicopters arrived. In 1967-68 about every third flight turned into a RESCAP. After the second cycle, Mistys generally proceeded home to Phu Cat; however, if lucrative targets were sighted, Misty often returned to the tanker for a third, or even fourth cycle. Missions lasted 4:30 – 6:00 hours. Mistys normally conserved their 20mm ammunition for RESCAPs. Strafing was not encouraged; however, at the end of a mission, Mistys often strafed trucks or POL sighted during the flight. Several aircraft were lost or damaged while strafing.

The text is interrupted by crystal structures
'''
(1)
Below is CeMgCu2 after structural relaxation, with properties calculated at the GGA-PBE level.

The formation enthalpy at 0 K comes out at -2.8 kcal/mol of atoms. The total energy comes out at -4.05 eV per atom.

abc: 4.6013 4.6013 8.4129
angles: 90.00 90.00 120.00
Space group P6_3/mmc (No. 194)
One atom of each set of equivalent atoms:
Ce: 0.3333 0.6667 0.2500 (multiplicity 2)
Mg: 0.0000 0.0000 0.0000 (multiplicity 2)
Cu: 0.3333 0.6667 0.5891 (multiplicity 4)

---

(2)
Below is CeMg2Cu9 after structural relaxation, with properties calculated at the GGA-PBE level.

The formation enthalpy at 0 K comes out at -3.0 kcal/mol of atoms. The total energy comes out at -3.97 eV per atom. The value obtained for the total magnetic moment is 0.171 μB per atom.

abc: 5.0419 5.0419 16.1412
angles: 90.00 90.00 120.00
Space group P6_3/mmc (No. 194)
One atom of each set of equivalent atoms:
Ce: 0.3333 0.6667 0.2500 (multiplicity 2)
Mg: 0.3333 0.6667 0.0315 (multiplicity 4)
Cu: 0.0000 0.0000 0.0000 (multiplicity 2)
Cu: 0.0000 0.0000 0.2500 (multiplicity 2)
Cu: 0.1679 0.3358 0.6225 (multiplicity 12)
Cu: 0.3333 0.6667 0.7500 (multiplicity 2)

---

(3)
Below is CeMg14Cu after structural relaxation, with properties calculated at the GGA-PBE level.

The formation enthalpy at 0 K comes out at 1.6 kcal/mol of atoms. The total energy comes out at -1.96 eV per atom. The value obtained for the total magnetic moment is 0.002 μB per atom.

abc: 6.4632 6.4632 10.0690
angles: 90.00 90.00 120.00
Space group P-6m2 (No. 187)
One atom of each set of equivalent atoms:
Ce: 0.0000 0.0000 0.0000 (multiplicity 1)
Mg: 0.0134 0.5067 0.0000 (multiplicity 3)
Mg: 0.1638 0.3276 0.2625 (multiplicity 6)
Mg: 0.5014 0.0028 0.5000 (multiplicity 3)
Mg: 0.6667 0.3333 0.2427 (multiplicity 2)
Cu: 0.0000 0.0000 0.5000 (multiplicity 1)

---

(4)
Below is CeMn2Cu9 after structural relaxation, with properties calculated at the GGA-PBE level.

The formation enthalpy at 0 K comes out at 0.0 kcal/mol of atoms. The total energy comes out at -5.10 eV per atom. The value obtained for the total magnetic moment is 0.717 μB per atom.

abc: 8.289 8.289 4.908
angles: 90.00 90.00 90.00
Space group P4/mbm (No. 127)
One atom of each set of equivalent atoms:
Ce: 0.000 0.000 0.000 (multiplicity 2)
Mn: 0.116 0.384 0.000 (multiplicity 4)
Cu: 0.000 0.500 0.500 (multiplicity 2)
Cu: 0.065 0.210 0.500 (multiplicity 8)
Cu: 0.179 0.679 0.240 (multiplicity 8)

---

(5)
Below is Ce2Mn3Cu9 after structural relaxation, with properties calculated at the GGA-PBE level.

The formation enthalpy at 0 K comes out at 1.1 kcal/mol of atoms. The total energy comes out at -5.40 eV per atom. The value obtained for the total magnetic moment is 0.567 μB per atom.

abc: 4.927 9.346 8.881
angles: 90.00 90.00 90.00
Space group Cmm2 (No. 35)
One atom of each set of equivalent atoms:
Ce: 0.000 0.000 0.000 (multiplicity 2)
Ce: 0.000 0.500 0.494 (multiplicity 2)
Mn: 0.000 0.000 0.298 (multiplicity 2)
Mn: 0.000 0.500 0.188 (multiplicity 2)
'''
End of the crystal structures

The general tactics employed by early Misty included staying fast – 400-450 knots; continually “jinking” – changing flight path direction every 5-7 seconds (the time of flight for a 37mm round); and staying at 4500′, or above, unless marking targets, participating in a RESCAP, or taking a close look at a particularly important target. Violating any of these rules dramatically increased chances of being shot down; observing them was no guarantee.

The majority of North Vietnamese AAA defenses faced by the Mistys included small arms, 50 cal., 14.5mm, 23mm (came later in the war), 37mm, 57mm and occasional 85mm and 100mm AAA guns. In 1968 the North Vietnamese repeatedly attempted to deploy SA-2 SAMs (Surface to Air Missiles) into the area, and later in 1969 the shoulder-fired infrared missile began to proliferate, particularly in Steel Tiger. The NVA confined MIG aircraft to the Hanoi and Haiphong areas. None were encountered by Mistys in the southern Route Packs. By far, the greatest threat to Misty was the 37mm AAA gun. The great majority of Misty loses were attributed to this weapon.

Misty was a dangerous mission. The loss rates were high. 34 Mistys (22%) were shot down. For this reason the tour length was adjusted to four months (50-60 missions), after which the pilots returned to complete their tours with a unit flying in South Vietnam. Eight Mistys were shot down while flying other missions, bringing the total loss rate to 28%. The high loss rate was no badge of honor, but was due to the extended time spent over the North and repeated exposure to guns at low altitude. A typical mission entered North Vietnam two-three times and spent two-four hours at low altitude exposed to guns. The single-engine F-100 was particularly vulnerable and drew intense gunfire while marking targets. RESCAPs were extremely hazardous. All stops were pulled out, and rules were set aside to rescue downed pilots.

President Johnson declared a bombing moratorium over North Vietnam in November of 1968 in an attempt to bring the North Vietnamese to the peace table. Misty continued to operate over the Ho Chi Minh Trail in Laos. When Phu Cat became an F-4 base, Misty operations were transferred from Phu Cat to Tuy Hoa (the nearest F-100 base) in April 1969. Tony McPeak was the last commander at Phu Cat. From Tuy Hoa, Mistys operated in Steel Tiger (Laos) while F-4 Fast FACs picked-up responsibility for Route Pack 1. Tactics at Tuy Hoa changed and the Mistys operated at lower altitudes and higher speeds. High loss rates continued. The Misty program was terminated in May of 1970.

Adapted from the Forward to the MISTY Book
by Major General Don Shepperd, USAF (ret, Misty 34)